Layout Management in Windows Forms Diagram

29 Nov 202416 minutes to read

Different Layout Manager are discussed under the following section:

Manual Layout

The various types of Layout Managers that are supported by the diagram control to align nodes are as follows.

Some common Layout Manager settings are discussed in the below topic.

  • Layout Manager Settings

Someone pasted records of crystals at this point =
- - -
CaEuNi4O12: calculated powder diffractogram (Cu Kα (weighted mean of Kα1 and Kα2)), based on the PBE+U geometry in Alexandria.
Lines closer than 0.1° are merged.

The 8 most intense peaks (5° ≤ 2θ ≤ 70°), by angle:
2theta	Rel. int.	hkl
11.6	234	0 0 1
20.3	878	1 0 1
33.4	1000	1 1 2
33.6	495	2 0 0
39.6	314	2 1 1
47.8	236	0 0 4
48.2	461	2 2 0
59.9	370	3 1 2

Crystal structure
Unit cell a=5.339 b=5.339 c=7.614 alpha=90.00 beta=90.00 gamma=90.00
Space group P4/mmm (No. 123)
One atom of each set of equivalent atoms:
Ca 0.000 0.000 0.000
Eu 0.500 0.500 0.500
Ni 0.000 0.500 0.248
O 0.000 0.500 0.000
O 0.000 0.500 0.500
O 0.254 0.254 0.256

~~~~~

[1]
This entry pairs a crystal structure of SnPb3Se6 with its simulated powder X-ray diffraction pattern. Radiation: Cu Kα (weighted mean of Kα1 and Kα2). Structure: DFT lattice parameters and positions (GGA-PBE).
No peak broadening, texture or thermal motion is included.

```
SnPb3Se6
1.0
0.000 5.609 5.756
4.905 0.000 5.756
4.905 5.609 0.000
Sn Pb Se
1 3 6
direct
0.000 0.000 0.000
0.250 0.250 0.250
0.500 0.500 0.500
0.750 0.750 0.750
0.093 0.907 0.631
0.243 0.243 0.757
0.369 0.631 0.907
0.631 0.369 0.093
0.757 0.757 0.243
0.907 0.093 0.369
```

Largest 10 diffraction maxima, by angle, 5° ≤ 2θ ≤ 70°:
22.13°, I 36.9; 24.10°, I 100.0; 31.07°, I 43.8; 36.64°, I 26.8; 39.71°, I 55.0; 40.22°, I 45.6; 43.22°, I 14.2; 48.78°, I 24.1; 61.54°, I 13.4; 64.77°, I 13.0

***

[2]
This entry pairs a crystal structure of PaBiTeO6 with its simulated powder X-ray diffraction pattern. Radiation: Cu Kα (weighted mean of Kα1 and Kα2). Structure: DFT lattice parameters and positions (GGA-PBE).
No peak broadening, texture or thermal motion is included.

```
PaBiTeO6
1.0
5.825 0.000 0.000
-2.912 5.044 0.000
0.000 0.000 9.762
Pa Bi Te O
2 2 2 12
direct
0.333 0.667 0.250
0.667 0.333 0.750
0.000 0.000 0.000
0.000 0.000 0.500
0.333 0.667 0.750
0.667 0.333 0.250
0.001 0.350 0.136
0.001 0.651 0.364
0.349 0.350 0.364
0.349 0.999 0.136
0.350 0.001 0.636
0.350 0.349 0.864
0.650 0.651 0.136
0.650 0.999 0.364
0.651 0.001 0.864
0.651 0.650 0.636
0.999 0.349 0.636
0.999 0.650 0.864
```

Largest 10 diffraction maxima, by angle, 5° ≤ 2θ ≤ 70°:
25.39°, I 100.0; 30.70°, I 54.2; 36.82°, I 11.4; 40.25°, I 30.0; 48.68°, I 45.4; 51.46°, I 30.1; 54.58°, I 17.6; 59.72°, I 9.6; 67.67°, I 11.8; 69.95°, I 12.7

~~~~~

Starting from a cell relaxed with GGA-PBE, the X-ray diffraction stick pattern of Sr2CuAs4Rh3 was computed for Cu Kα (weighted mean of Kα1 and Kα2).
Peak positions follow from Bragg's law for the DFT cell and can differ from measured ones.

Crystal structure
Cell lengths 4.385, 4.385, 10.066 Å; angles 90.00, 90.00, 90.00 degrees
Element x y z (fractional)
Sr 0.000 0.500 0.249
Sr 0.500 0.000 0.751
Cu 0.000 0.000 0.500
As 0.000 0.000 0.000
As 0.000 0.500 0.630
As 0.500 0.000 0.370
As 0.500 0.500 0.000
Rh 0.000 0.500 0.880
Rh 0.500 0.000 0.120
Rh 0.500 0.500 0.500

Most intense lines, 10° ≤ 2θ ≤ 90°, in order of rising 2θ:
d_spacing  intensity
- - -

Table Layout Manager

The TableLayoutManager class can be used to arrange various objects in columns and rows in a table format. The TableTreeLayoutManager arranges nodes in a Table layout, positioning the nodes in a rectangular grid of cells, with each node spanning over a single table cell. The TableTreeLayoutManager is used when tabular relationships need to be depicted. The various properties of the TableTreeLayoutManager are listed below.

The model and the number of rows and column values are passed as parameters to the TableLayoutManager class. The parameters and properties involved with the TableLayoutManager are listed in the below table.

Property Description
Model The Model to be attached to the Layout Manager.
CellSizeMode Gets / sets the cell size mode with one of the following options:EqualToMaxNodeMinimalTableMinimal
MaxSize Gets / sets the size of each table cell. It is an integer type value.
MaxColumnCount Represents the maximum horizontal cell count in the table. It is an integer type value.
MaxRowsCount Represents the maximum vertical cell count in the table. It is an integer type value.
HorizontalSpacing Defines the horizontal offset between adjacent nodes.
VerticalSpacing Defines the vertical offset between adjacent nodes.

Programmatically, the table layout manager instance should be created with the respective arguments, assigned to the Layout Manager and updated as follows.

TableLayoutManager lLayout=new TableLayoutManager(this.diagram1.Model, 7, 7);
tlLayout.VerticalSpacing = 20;
tlLayout.HorizontalSpacing = 20;
tlLayout.CellSizeMode = CellSizeMode.EqualToMaxNode;
tlLayout.Orientation = Orientation.Horizontal;
tlLayout.MaxSize = new SizeF(500, 600);

this.diagram1.LayoutManager = tlLayout;

documentExplorer1.Dock = DockStyle.Right;
documentExplorer1.BackColor = System.Drawing.SystemColors.Window;
documentExplorer1.Location = new System.Drawing.Point(0, 377);
documentExplorer1.Size = new System.Drawing.Size(200, 100);
documentExplorer1.BorderStyle = System.Windows.Forms.BorderStyle.Fixed3D;
documentExplorer1.ShowNodeToolTips = true;
Dim lLayout As TableLayoutManager = New TableLayoutManager(Me.diagram1.Model, 7, 7)
tlLayout.VerticalSpacing = 20
tlLayout.HorizontalSpacing = 20
tlLayout.CellSizeMode = CellSizeMode.EqualToMaxNode
tlLayout.Orientation = Orientation.Horizontal
tlLayout.MaxSize = New SizeF(500, 600)

Me.diagram1.LayoutManager = tlLayout

documentExplorer1.Dock = DockStyle.Right
documentExplorer1.BackColor = System.Drawing.SystemColors.Window
documentExplorer1.Location = New System.Drawing.Point(0, 377)
documentExplorer1.Size = New System.Drawing.Size(200, 100)
documentExplorer1.BorderStyle = System.Windows.Forms.BorderStyle.Fixed3D
documentExplorer1.ShowNodeToolTips = True

Table layout

Table layout

Directed Tree Layout Manager

The Directed Tree Layout Manager implements a layout manager for arranging nodes in a tree-like structure. This Layout manager can be applied to any diagram that is composed of a directed tree graph with unique root and child nodes. The layout manager lets you orient the tree in any direction around the root and can be used for creating arrangements such as top-to-bottom vertical trees, bottom-to-top vertical trees, right-to-left horizontal trees, left-to-right horizontal trees, angular trees etc.

The DirectedTreeLayoutManager class is a subclass of the GraphLayoutManager and implements a layout manager for arranging nodes in a tree-like structure. The tree layout can be applied to any diagram that is composed as a directed tree graph with a unique root and child nodes. The layout manager lets you orient the tree in just about any direction around the root and can be used for creating arrangements such as top-to-bottom vertical trees, bottom-to-top vertical trees, right-to-left horizontal trees, left-to-right horizontal trees, angular trees and so on.

Graph orientation is determined by the rotation degree parameter while initializing the layout manager. A rotation degree of 0° specifies a top-to-bottom vertical tree while a rotation degree of 270° will result in a left-to-right horizontal tree layout.

The parameters to be defined for the DirectedTreeLayoutManager class are listed in the below table.

Property Description
Model Represents the model of the diagram, which has to be displayed out as a directed tree.
RotationAngle Gets or sets the rotation angle for the graph. It accepts only integer values between 0-360.
HorizontalSpacing Holds the value for the horizontal offset between adjacent nodes (float value).
VerticalSpacing Holds the value for the vertical offset between adjacent nodes (float value).

Programmatically, the directed tree layout manager instance is created with the respective arguments, assigned to the Layout Manager and updated as follows.

DirectedTreeLayoutManager directedLayout = new  DirectedTreeLayoutManager(diagram1.Model,0, 20, 20);
diagram1.LayoutManager = directedLayout;
DirectedTreeLayoutManager directedLayout = new  DirectedTreeLayoutManager(diagram1.Model,0, 20, 20);
diagram1.LayoutManager = directedLayout;

Sample Diagrams are as follows.

Directed Tree layout Top-Bottom

Directed Tree layout Bottom-Top

Directed Tree layout Right-Left

Directed Tree layout Left-Right

Radial Tree Layout Manager

The Radial Tree Layout Manager is a specialization of the Directed Tree Layout Manager that employs a circular layout algorithm for locating the diagram nodes. The RadialTreeLayoutManager arranges nodes in a circular layout, positioning the root node at the center of the graph and the child nodes in a circular fashion around the root. Sub-trees formed by the branching of child nodes are located radially around the child nodes. This arrangement results in an ever-expanding concentric arrangement with radial proximity to the root node indicating the node level in the hierarchy.

The following parameters need should be specified for the RadialTreeLayoutManager.

Property Description
Model Represents the model to be attached to the Layout Manager.
RotationAngle Defines the Graph Rotation angle. It accepts only integer values between 0-360.
HorizontalSpacing Defines the horizontal offset between adjacent nodes.
VerticalSpacing Defines the vertical offset between adjacent nodes.

Programmatically, the radial tree layout manager instance is created with the respective arguments, assigned to the Layout Manager and updated as follows:

RadialTreeLayoutManager radialLayout= new RadialTreeLayoutManager(model1, 0, 20, 20);
Dim radialLayout As New RadialTreeLayoutManager(model1, 0, 20, 20)
Me.diagram1.LayoutManager = radialLayout

Sample Diagram is as follows.

Radial Tree layout_1

Radial Tree layout_2

Symmetric Layout Manager

The Symmetric layout manager arranges all the nodes in a symmetric fashion using the vertical input distance, which specifies the distance between the nodes.

The Model and Vertical Distance values are passed as parameters to the SymmetricLayoutManager class. The parameters and properties of Symmetric Layout Manager is listed below.

Property Description
Model Represents the model of the diagram, which has to be displayed out as a directed tree.
VerticalDistance Defines the Graph Rotation angle. It accepts only integer values between 0 - 360.
SpringFactor Gets or sets the spring factor.
SpringLength Defines the spring length.
MaxIteration Holds the maximum count of iteration.

Programmatically, the symmetric layout manager instance is created with the respective arguments, assigned to the LayoutManager and updated as follows.

SymmetricLayoutManager symmetricLayout = new SymmetricLayoutManager(diagram1.Model,100);
symmetricLayout.SpringFactor = 0.442;
symmetricLayout.SpringLength = 100;
symmetricLayout.MaxIteration = 500;
this.diagram1.LayoutManager = symmetricLayout;
Dim symmetricLayout As New SymmetricLayoutManager(diagram1.Model, 100)
symmetricLayout.SpringFactor = 0.442
symmetricLayout.SpringLength = 100
symmetricLayout.MaxIteration = 500
Me.diagram1.LayoutManager = symmetricLayout

Sample Diagrams are as follows.

Symmetric Layout Manager_1

Symmetric Layout Manager_2

Hierarchical Layout Manager

Hierarchical layout manager arranges the nodes in a hierarchical fashion depending on the parent-child relationship. Unlike the directed layout, more than one parent item can be defined for a child.

The parameters to be passed for the HierarchicalLayoutManager class are as follows:

Property Description
Model Represents the model of the diagram, which has to be displayed out as a directed tree.
RotationAngle Defines the Graph Rotation angle. It accepts only integer values between 0-360.
HorizontalSpacing Holds the value for the horizontal offset between adjacent nodes (float value).
VerticalSpacing Holds the value for the vertical offset between adjacent nodes (float value).

Programmatically, the hierarchical layout manager instance should be created with the respective arguments, assigned to the Layout Manager and updated as follows.

HierarchicLayoutManager hierarchyLayout = new HierarchicLayoutManager (diagram1.Model, 0, 10, 20);
this.diagram1.LayoutManager = hierarchyLayout;
Dim hierarchyLayout As New HierarchicLayoutManager(diagram1.Model, 0, 10, 20)
Me.diagram1.LayoutManager = hierarchyLayout

Sample diagrams are as follows:

Hierarchical Layout Manager Top-Bottom

Hierarchical Layout Manager Bottom-Top

Graph Layout Manager

The GraphLayoutManager is an abstract base class that can be used for implementing layout managers for diagrams composed primarily of nodes forming connected graphs. The GraphLayoutManager implements the infrastructure for initializing, validating and creating the diagram graph by enumerating the diagram model’s child nodes. It also enables positioning diagram nodes using the layout strategies provided by specialized directed tree layout managers that derive from it.

The event of the Graph Layout Manager class and its description is given below:

Event Description
PreferredLayout Event Event provides the application a chance to customize the layout of the diagram.

Programmatically, it is implemented as follows.

RadialTreeLayoutManager dtlm = new RadialTreeLayoutManager(this.diagram1.Model, 0, 20, 20);
dtlm.PreferredLayout += new PreferredLayoutEventHandler(dtlm_PreferredLayout);
this.diagram1.LayoutManager = dtlm;

private void dtlm_PreferredLayout(object sender, PreferredLayoutEventArgs evtArgs)
if (evtArgs.IsGraphUnderLayout)
evtArgs.ResizeGraphNodes = false;
evtArgs.Location = new PointF(150,150);
evtArgs.Size = new SizeF(100, 100);
Dim dtlm As New RadialTreeLayoutManager(Me.diagram1.Model, 0, 20, 20)
AddHandler dtlm.PreferredLayout, AddressOf dtlm_PreferredLayout
Me.diagram1.LayoutManager = dtlm

Private Sub dtlm_PreferredLayout(ByVal sender As Object, ByVal evtArgs As PreferredLayoutEventArgs)
If evtArgs.IsGraphUnderLayout Then
evtArgs.ResizeGraphNodes = False
evtArgs.Location = New PointF(150, 150)
evtArgs.Size = New SizeF(100, 100)
End If
End Sub

The following is a sample Diagram showing GraphLayoutManager:


Subgraph Layout Manager

The SubgraphTreeLayoutManager enables the sub nodes of a diagram layout tree to have an orientation that is distinct from the parent node. The subgraph orientation is specified using a SubgraphPreferredLayout event that the layout manager raises before positioning each set of sub nodes in the graph.

The event of the SubgraphLayoutManager class is as follows:

Event Description
SubgraphPreferredLayout Event that the layout manager raises before positioning each set of sub nodes in the graph.

Programmatically, it is implemented as follows.

SubgraphTreeLayoutManager st = new SubgraphTreeLayoutManager(this.diagram1.Model,0, 20, 20);
st.SubgraphPreferredLayout += new SubgraphPreferredLayoutEventHandler(st_SubgraphPreferredLayout);
this.diagram1.LayoutManager = st;

private void st_SubgraphPreferredLayout(object sender, SubgraphPreferredLayoutEventArgs evtArgs)
Dim st As New SubgraphTreeLayoutManager(Me.diagram1.Model, 0, 20, 20)
AddHandler st.SubgraphPreferredLayout, AddressOf st_SubgraphPreferredLayout
Me.diagram1.LayoutManager = st

Private Sub st_SubgraphPreferredLayout(ByVal sender As Object, ByVal evtArgs As SubgraphPreferredLayoutEventArgs)
evtArgs.ResizeSubgraphNodes = False
evtArgs.RotationDegree = 0
End Sub

Subgraph Layout Manager

OrgChart Layout Manager

Event arranges all the nodes in parent-child relationship with the new OrgLineConnector that connects the nodes to get the OrgLayout appearance. The OrgLineConnector is specially designed for connecting the nodes in OrgChartLayoutManager.

Property Description
Model Represents the model of the diagram, which is displayed as an OrgLayout.
RotationDirection Gets / sets the layout directions. There are four major directions, which are as follows:BottomToTopLeftToRightRightToLeftTopToBottom
HorizontalSpacing Holds the value for the horizontal offset between adjacent nodes (float value).
VerticalSpacing Holds the value for the vertical offset between adjacent nodes (float value).

Programmatically, the organization layout manager instance should be created with the respective arguments, assigned to the Layout Manager and updated as follows.

OrgChartLayoutManager manager = new OrgChartLayoutManager(this.diagram.Model,RotateDirection.TopToBottom, 20, 50);
this.diagram1.LayoutManager = manager;
Dim manager As New OrgChartLayoutManager(Me.diagram.Model, RotateDirection.TopToBottom, 20, 50)
Me.diagram1.LayoutManager = manager

Sample diagram is as follows.

OrgChart Layout Manager Top-Bottom

OrgChart Layout Manager Bottom-Top

OrgChart Alignment

As the OrgChartLayout follows a Waterfall model, whenever there is only one child node, the layout will be widened. To overcome this, Essential® diagram enables you to align the single child node parallel to the parent node, which will reduce the layout structure.

OrgChartLayoutManager manager = new OrgChartLayoutManager(this.diagram.Model, RotateDirection.TopToBottom, 20, 50, LayoutType.Waterfall, 1, true);
Dim manager as New OrgChartLayoutManager(Me.diagram.Model,RotateDirection.TopToBottom, 20, 50,LayoutType.Waterfall, 1, True)

Layout Manager Settings

Margin Properties for Layout Managers

For all the Layout Managers supported by Essential® Diagram, except Symmetric and Table Layout Manager, it is now possible to set the left and right margins for the graph that can be laid out by the layout manager. The two new properties, i.e, TopMargin and LeftMargin of the Layout Manager will set the margin for the graph using the following code snippet.

OrgChartLayoutManager manager = new OrgChartLayoutManager(this.diagram.Model, RotateDirection.TopToBottom, 20, 50);
manager.LeftMargin = 50;
manager.TopMargin = 50;
Dim manager as New OrgChartLayoutManager(Me.diagram.Model,RotateDirection.TopToBottom, 20, 50)
manager.LeftMargin = 50
manager.TopMargin = 50

Improving performance

The performance of most of the Essential® Diagram Layout Managers is now improved to a great extent. The time taken for laying out a diagram, using a Layout Manager can now be reduced by setting the ImprovePerformance property to true.

OrgChartLayoutManager manager = new OrgChartLayoutManager(this.diagram.Model, RotateDirection.TopToBottom, 20, 50);
manager.ImprovePerformance = true;
Dim manager as New OrgChartLayoutManager(Me.diagram.Model,RotateDirection.TopToBottom, 20, 50)
manager.ImprovePerformance = True